Using electronic/computer posts as evidence?


Well-Known Member
I am wondering how much of what is put on the net, pix of equip/grows, statements of posession, can be used in the court of law?
Do the posts on RIU come up in court as evidence, very often, at all?
Anyone have a 101 on this, kinda like the "don't talk to the police" video?


ps I'd give NORML an F for their last 35+ years of work, the laws have only gotten tougher!
Drug abuse is bad but the punishment and stigma from a conviction for pot is very wrong.

Hugo Phurst

Well-Known Member
I'm not sure what the Cops can/do use.

Just remember, don't post anything on the internet that you don't want the entire world seeing.


Well-Known Member
I don't think that the cops are patrolling RIU to find weed growers. There are people here on RIU from all over the world. I wouldn't tell anyone to much on here because you really have no idea who that person really is. I wouldn't meet anyone in person that you meet on here or give any info out that could help someone identify you. I do this to remain somewhat anonymous. Noone that I know in person knows that I am posting here on RIU. This is just a way for me to show off my shit w/o having to worry about someone I know having loose lips. Plus, if I was to get busted I would get a misdemeanor conviction at worst, and I could care less about that. I've been in enough trouble that my background checks for jobs won't make a difference with one more misdemeanor conviction on it. But thats just me. If you are doing big things and doing it illegally then I wouldn't recommend posting pics of it here or anywhere else on the net. This is just my opinion.


Well-Known Member
I can't imagine the police taking the time to read through your computer thread, unless, its a major operation and additional evidence is needed to secure a conviction.
That said I don't post pictures. If one posts regularly it could be used to establish a timeline for your grow (generally). Pictures include to much embedded information on them.


Active Member
The cops definately could look at your posts on RIU anything in the public domain is fair game.They couldn't use it as evidence because you could be lying about everything you post.Just because I say I have a 12" dick on the internet doesn't really mean I have one(or do I).


Well-Known Member
I see that a few times folks post then as a sign-off signature say something like all this information here is all fictitious. What is up with that?

• What comes next are data records, not part of the article:
********
No. 1
A plane-wave DFT calculation with PBE was carried out for a relaxed NaNbSn3P6O24 crystal.

abc: 8.745 8.745 22.784
angles: 90.00 90.00 120.00
Atoms (fractional coordinates):
P: 0.290 0.001 0.251
P: 0.957 0.622 0.083
P: 0.667 0.621 0.583
P: 0.623 0.667 0.916
P: 0.710 0.710 0.251
P: 0.333 0.956 0.916
P: 0.709 0.000 0.750
P: 0.623 0.956 0.416
P: 0.334 0.377 0.416
P: 0.999 0.290 0.251
P: 0.290 0.291 0.750
P: 0.378 0.336 0.083
P: 0.044 0.666 0.416
P: 0.954 0.333 0.583
P: 0.044 0.377 0.916
P: 0.379 0.046 0.583
P: 0.664 0.043 0.083
P: 0.000 0.710 0.750
O: 0.803 0.971 0.411
O: 0.024 0.197 0.196
O: 0.642 0.500 0.922
O: 0.304 0.834 0.256
O: 0.829 0.806 0.594
O: 0.500 0.359 0.423
O: 0.880 0.373 0.638
O: 0.141 0.645 0.075
O: 0.859 0.500 0.423
O: 0.452 0.292 0.028
O: 0.173 0.976 0.196
O: 0.530 0.696 0.256
O: 0.211 0.038 0.306
O: 0.507 0.878 0.361
O: 0.300 0.845 0.972
O: 0.355 0.496 0.075
O: 0.454 0.160 0.529
O: 0.531 0.840 0.471
O: 0.139 0.495 0.573
O: 0.840 0.548 0.028
O: 0.122 0.489 0.861
O: 0.367 0.878 0.861
O: 0.212 0.175 0.805
O: 0.024 0.191 0.911
O: 0.504 0.859 0.075
O: 0.122 0.629 0.361
O: 0.474 0.307 0.743
O: 0.166 0.696 0.756
O: 0.029 0.832 0.411
O: 0.173 0.197 0.696
O: 0.962 0.174 0.306
O: 0.692 0.526 0.243
O: 0.826 0.789 0.306
O: 0.024 0.827 0.696
O: 0.976 0.808 0.092
O: 0.809 0.833 0.911
O: 0.708 0.160 0.028
O: 0.371 0.493 0.361
O: 0.641 0.141 0.423
O: 0.633 0.122 0.138
O: 0.160 0.691 0.471
O: 0.489 0.367 0.138
O: 0.309 0.469 0.471
O: 0.878 0.511 0.138
O: 0.168 0.197 0.411
O: 0.166 0.470 0.256
O: 0.693 0.167 0.743
O: 0.493 0.120 0.638
O: 0.858 0.358 0.922
O: 0.167 0.976 0.911
O: 0.706 0.546 0.529
O: 0.840 0.294 0.529
O: 0.977 0.171 0.594
O: 0.356 0.861 0.573
O: 0.474 0.167 0.243
O: 0.962 0.788 0.805
O: 0.825 0.038 0.805
O: 0.833 0.308 0.243
O: 0.530 0.834 0.756
O: 0.194 0.023 0.594
O: 0.832 0.024 0.092
O: 0.627 0.507 0.638
O: 0.505 0.644 0.573
O: 0.192 0.168 0.092
O: 0.155 0.455 0.972
O: 0.545 0.700 0.972
O: 0.833 0.526 0.743
O: 0.500 0.142 0.922
O: 0.803 0.976 0.696
O: 0.803 0.827 0.196
O: 0.304 0.470 0.756
O: 0.511 0.633 0.861
Sn: 0.000 0.000 0.355
Sn: 0.333 0.667 0.812
Sn: 0.333 0.667 0.311
Sn: 0.667 0.333 0.186
Sn: 0.333 0.667 0.020
Sn: 0.667 0.333 0.480
Sn: 0.667 0.333 0.981
Sn: 0.667 0.333 0.686
Sn: 0.000 0.000 0.853
Na: 0.667 0.333 0.333
Na: 0.000 0.000 0.998
Na: 0.667 0.333 0.834
Nb: 0.333 0.667 0.521
Nb: 0.000 0.000 0.645
Nb: 0.000 0.000 0.147

Total energy ... -748.465 eV per cell


No. 2
A plane-wave DFT calculation with PBE was carried out for a relaxed NaTi3NbP6O24 crystal.

abc: 8.631 8.631 22.529
angles: 90.00 90.00 120.00
Atoms (fractional coordinates):
O: 0.832 0.308 0.243
O: 0.303 0.837 0.973
O: 0.636 0.499 0.639
O: 0.134 0.498 0.574
O: 0.362 0.500 0.073
O: 0.165 0.472 0.260
O: 0.697 0.530 0.527
O: 0.638 0.135 0.139
O: 0.833 0.303 0.527
O: 0.364 0.867 0.861
O: 0.163 0.466 0.973
O: 0.470 0.167 0.527
O: 0.833 0.531 0.027
O: 0.500 0.359 0.424
O: 0.160 0.695 0.472
O: 0.527 0.835 0.760
O: 0.201 0.167 0.806
O: 0.165 0.693 0.760
********


Active Member
They can use any information they get against you. Yes including forum posts and pictures. I bet most people do like me and. Pick the remember me button. So when they seize your pc and launch browsers it will auto sign you in and they will have every statement you made. Always clear your cache, manual log in, hell use private browsing. First thing to do though is don't tell anyone our business. You won't have a reason to be under investigation unless you give them one , and the biggest reason is a big mouth. Lol.


Active Member
If they can link your name on RIU to your real name it's all fair game.

However linking your alias to you will probably happen after you've been busted and they have examined your computer.

If you are careful to maintain plausible deniability, and are willing to read all the documentation more then once then TrueCrypt should thwart local LEO. Going scorched earth with something like the amnesic incognito live system that leaves little if any trace on the host is an option. Nothing will help you if catch you while your data is unencrypted (ie being accessed by you) or you are running the CD. The FBI and DEA don't fuck around so just don't piss them off.

Truecrypt/TAILS can be defeated but it involves breaking into your house, tampering with your computer, and then waiting to bust you until you've booted into your hidden OS at least once after (ala evil maid attack.) The DEA broke into a house and planted a keylogger as well as "tapped" a DSL line to bust a supposed MDMA lab.

Not much more is known about the DEA's keylogger in the Forrester-Alba case. An affidavit prepared by DEA agent Coffey in July 2001 asks for permission to enter the Escondido office "by breaking and entering, if necessary, for the purpose of installing, maintaining, and removing software tools" that "will enable agents to capture and record all keyboard keystrokes."
The wiretap was done at PacBell's connection facility at 650 Robinson Rd. in San Diego. The DEA obtained what's known as a "mirror port," a feature that many network switches made by companies including Cisco Systems include for troubleshooting purposes.

A mirror port duplicates all the Internet traffic of one user to a second port on the same switch, without the suspect being alerted that electronic surveillance is under way. The scheme is probably easier to accomplish with a static Internet Protocol (IP) address, which is what the Escondido case involved.

According to the DEA, only IP addresses of Web sites (such as instead of and e-mail headers are captured, and not the rest of the communication stream. That, they argue, makes it akin to existing precedent dealing with pen registers, which capture telephone numbers dialed and are permitted without any proof of probable cause of wrongdoing.


Active Member
I see that a few times folks post then as a sign-off signature say something like all this information here is all fictitious. What is up with that?
Some people can't afford a team of lawyers (like rich celebrities) and rely on lucky charms. Prayer is a viable option if your into that kind of thing. Personally I like denial, just cover your ass best you can and hope for the best.


Well-Known Member
Many thanks to you for that very informative post!!

These materials data were left in the piece by mistake
~~~
# Ca3RhN3

A relaxed Ca3RhN3 crystal (GGA-PBE, the Materials Project).

Cell: 7.3464 7.3455 4.9720 Å, 90.00 90.00 119.71°
Atoms (fractional coordinates):
Ca  0.9060  0.6361  0.2500
Ca  0.7364  0.0942  0.2500
Ca  0.3596  0.2665  0.2500
Ca  0.0940  0.3639  0.7500
Ca  0.2636  0.9058  0.7500
Ca  0.6404  0.7335  0.7500
Rh  0.6656  0.3318  0.7500
Rh  0.3344  0.6682  0.2500
N  0.9002  0.6117  0.7500
N  0.7171  0.0996  0.7500
N  0.3839  0.2843  0.7500
N  0.0998  0.3883  0.2500
N  0.2829  0.9004  0.2500
N  0.6161  0.7157  0.2500

## Properties
Energy of formation from the pure elements: -0.743 eV/atom
VASP energy: -85.0 eV per cell
Space group: P2_1/m

~~~~~

Entry from Materials Project: a relaxed structure of Mg14GaCo (PBE).

Results
Space-group type: P-6m2, No. 187
Crystal system: hexagonal
Relative energy among the computed polymorphs: 0.000 eV per atom
DFT total energy: -0.073 Ha/atom
Volume: 21.1 Å³ per atom

a = 6.259 Å, b = 6.259 Å, c = 9.969 Å
α = 90.00°, β = 90.00°, γ = 120.00°
Fractional positions:
Mg  0.668  0.832  0.125
Mg  0.833  0.667  0.874
Ga  0.167  0.333  0.625
Mg  0.164  0.832  0.125
Mg  0.850  0.175  0.885
Mg  0.325  0.175  0.885
Mg  0.833  0.667  0.376
Mg  0.668  0.336  0.125
Mg  0.325  0.650  0.885
Mg  0.325  0.175  0.365
Mg  0.325  0.650  0.365
Mg  0.169  0.834  0.625
Mg  0.666  0.834  0.625
Mg  0.666  0.331  0.625
Mg  0.850  0.175  0.365
Co  0.167  0.333  0.125


Entry from Materials Project: a relaxed structure of Mg54Ag17 (PBE).

Results
Space-group type: Immm, No. 71
Crystal system: orthorhombic
DFT total energy: -0.075 Ha/atom
Volume: 20.9 Å³ per atom

a = 12.444 Å, b = 12.444 Å, c = 12.444 Å
α = 107.64°, β = 110.19°, γ = 110.61°
Fractional positions:
Mg  0.567  0.675  0.892
Mg  0.114  0.114  0.000
Ag  0.000  0.831  0.831
Mg  0.306  0.014  0.935
Mg  0.679  0.603  0.282
Mg  0.079  0.014  0.707
Mg  0.817  0.098  0.915
Mg  0.437  0.904  0.104
Mg  0.200  0.667  0.104
Ag  0.701  0.368  0.667
Mg  0.886  0.886  0.000
Ag  0.625  0.832  0.792
Mg  0.621  0.203  0.201
Mg  0.520  0.127  0.394
Mg  0.002  0.203  0.582
Mg  0.217  0.325  0.892
Mg  0.389  0.558  0.169
Mg  0.621  0.420  0.418
Mg  0.379  0.580  0.582
Mg  0.679  0.397  0.076
Mg  0.998  0.580  0.201
Ag  0.833  0.710  0.542
Mg  0.183  0.902  0.085
Mg  0.563  0.096  0.896
Mg  0.079  0.372  0.065
Mg  0.611  0.442  0.831
Ag  0.000  0.169  0.169
Mg  0.267  0.873  0.394
Mg  0.500  0.145  0.645
Mg  0.998  0.797  0.418
Mg  0.433  0.325  0.108
Mg  0.885  0.500  0.385
Mg  0.563  0.667  0.467
Ag  0.375  0.168  0.208
Mg  0.898  0.562  0.664
Mg  0.611  0.780  0.169
Mg  0.321  0.603  0.924
Mg  0.437  0.333  0.533
Mg  0.800  0.904  0.467
Mg  0.002  0.420  0.799
Mg  0.183  0.098  0.282
Mg  0.921  0.986  0.293
Mg  0.102  0.438  0.336
Mg  0.480  0.873  0.606
Ag  0.040  0.832  0.208
Mg  0.733  0.127  0.606
Ag  0.833  0.290  0.123
Ag  0.500  0.500  0.000
Ag  0.960  0.168  0.792
Ag  0.167  0.290  0.458
Mg  0.306  0.372  0.293
Ag  0.167  0.710  0.877
Mg  0.115  0.500  0.615
Ag  0.811  0.311  0.500
~~~

What does InPrivate Browsing do for me, is it any help, or perhaps a false sense of security?

I imagine any IT hacker/agency if they wanted to could read 99% of the RIU posts and retrieve volumes of the most intimate details of each posters; is this a misconception?
I figure less than 1% of the posters are using encryption or tails.

# The piece is interrupted by calculated crystals
<<<
--- A ---
# Mg14CuB

Crystalline Mg14CuB at its relaxed geometry (PBE-GGA, the Materials Project database).

abc: 6.148 6.148 10.025
angles: 90.00 90.00 120.00
Positions (direct):
Mg 0.000 0.000 0.249
Mg 0.000 0.000 0.751
Mg 0.013 0.507 0.252
Mg 0.013 0.507 0.748
Mg 0.332 0.166 0.000
Mg 0.332 0.166 0.500
Mg 0.493 0.507 0.252
Mg 0.493 0.507 0.748
Mg 0.493 0.987 0.252
Mg 0.493 0.987 0.748
Mg 0.834 0.166 0.000
Mg 0.834 0.166 0.500
Mg 0.834 0.668 0.000
Mg 0.834 0.668 0.500
Cu 0.333 0.667 0.000
B 0.333 0.667 0.500

Summary:
Its total magnetization is 0.0 μB/cell.



--- B ---
# Mg14CuB

Crystalline Mg14CuB at its relaxed geometry (PBE-GGA, the Materials Project database).

abc: 9.986 6.219 6.219
angles: 60.57 90.00 90.00
Positions (direct):
Mg 0.000 0.000 0.000
Mg 0.000 0.008 0.504
Mg 0.000 0.499 0.499
Mg 0.000 0.504 0.008
Mg 0.248 0.672 0.672
Mg 0.251 0.174 0.174
Mg 0.307 0.171 0.692
Mg 0.307 0.692 0.171
Mg 0.500 0.454 0.965
Mg 0.500 0.965 0.454
Mg 0.693 0.171 0.692
Mg 0.693 0.692 0.171
Mg 0.749 0.174 0.174
Mg 0.752 0.672 0.672
Cu 0.500 0.514 0.514
B 0.500 0.027 0.027

Summary:
Its total magnetization is 0.0 μB/cell.



Order of stability, best first: B, A



--- A ---
# Mg6CuB

Crystalline Mg6CuB at its relaxed geometry (PBE-GGA, the Materials Project database).

abc: 4.489 6.402 10.177
angles: 90.00 90.00 90.00
Positions (direct):
Mg 0.000 0.242 0.407
Mg 0.500 0.247 0.096
B 0.500 0.000 0.309
Mg 0.000 0.258 0.907
Mg 0.000 0.742 0.907
Mg 0.000 0.500 0.174
Cu 0.500 0.500 0.338
B 0.500 0.500 0.809
Mg 0.500 0.253 0.596
Mg 0.000 0.758 0.407
Mg 0.000 0.500 0.673
Cu 0.500 0.000 0.838
Mg 0.000 0.000 0.674
Mg 0.000 0.000 0.173
Mg 0.500 0.753 0.096
Mg 0.500 0.747 0.596

Summary:
Its total magnetization is 0.0 μB/cell.



--- B ---
# Mg6CuB

Crystalline Mg6CuB at its relaxed geometry (PBE-GGA, the Materials Project database).

abc: 3.709 6.399 6.399
angles: 78.49 90.00 90.00
Positions (direct):
Mg 0.000 0.000 0.000
Mg 0.000 0.077 0.435
Mg 0.000 0.435 0.077
Mg 0.500 0.296 0.731
Mg 0.500 0.731 0.296
Mg 0.500 0.767 0.767
Cu 0.000 0.578 0.578
B 0.500 0.152 0.152

Summary:
Its total magnetization is 0.0 μB/cell.



Order of stability, best first: B, A



--- A ---
# Cu3BO5

Crystalline Cu3BO5 at its relaxed geometry (PBE-GGA, the Materials Project database).

abc: 3.275 11.891 9.853
angles: 90.00 103.09 90.00
Positions (direct):
Cu 0.000 0.000 0.000
Cu 0.000 0.500 0.500
Cu 0.056 0.223 0.494
Cu 0.056 0.277 0.994
Cu 0.436 0.615 0.264
Cu 0.436 0.885 0.764
Cu 0.500 0.000 0.500
Cu 0.500 0.500 0.000
Cu 0.564 0.115 0.236
Cu 0.564 0.385 0.736
Cu 0.944 0.723 0.006
Cu 0.944 0.777 0.506
B 0.448 0.636 0.735
B 0.448 0.864 0.235
B 0.552 0.136 0.765
B 0.552 0.364 0.265
O 0.022 0.085 0.391
O 0.022 0.415 0.891
O 0.064 0.144 0.093
O 0.064 0.356 0.593
O 0.374 0.738 0.667
O 0.374 0.762 0.167
O 0.436 0.538 0.659
O 0.436 0.962 0.159
O 0.460 0.133 0.621
O 0.460 0.367 0.121
O 0.540 0.633 0.879
O 0.540 0.867 0.379
O 0.564 0.038 0.841
O 0.564 0.462 0.341
O 0.626 0.238 0.833
>>>
# Back to the piece


Well-Known Member
I use a program that can wipe the hdd's free space securely (It's called restore.exe).. And I use Opera because of its straight-forward history storage within its own directory space.. Basically if you are savvy enough to know how to get everything deleted that you want deleted (Apps like filemon.exe/regmon.exe can help find what's being written..) not even a low level disk editor like WinHex can find any traces.. Privacy software packages that claim to wipe data don't work as well as you may think..If you want, get the programs I mentioned, and play around.. Do some substantial surfing on a topic that isn't already on your disk somewhere, then try to wipe it all and use Winhex's disk search to see how well you did..


Well-Known Member
I am wondering how much of what is put on the net, pix of equip/grows, statements of posession, can be used in the court of law?
Do the posts on RIU come up in court as evidence, very often, at all?
Anyone have a 101 on this, kinda like the "don't talk to the police" video?........................................................................................................................... Posting on RIU.won't get U busted but will get charges stacked like chordwood against U.Once the Man has a case against U,anything on your computer is fair game.Early on stings and traps were used on sites like this, but the courts blunted that aproach,now the man simply cites some guy for jaywalking then turns his life upside down thru his computer,phone,credit card conjur up a felony.....Be careful on line there are several peeps posting here that if I were a detec. I bet I could come prety close to identifying.


I browse this site and anything else marijuana related using the TOR network AKA "Vidalia" it is truly the safest way to browse, it became notorious when the whistle blowers were using it for a while to submit info to Wiki leaks while being damn near untraceable, my IP address and computer info are constantly being masked and changed so fast that I can only login to this website for about 8 minutes before I have to login again because the site auto logs off when it detects the IP address I signed in with is no longer being used.


Well-Known Member
They can look all they want, it takes a judge to sign a warrant and a judge isn't gonna sign a warrant with evidence submitted online to a forum. And then there's the fact they gotta prove it was actual who they are charging that was sitting at the keyboard.Although I may have taken the original message wrong, I have been sitting here for awhile doing hash rips. can it be proven in court? who gives a fuck?


Many thanks to you for that very informative post!!

What does InPrivate Browsing do for me, is it any help, or perhaps a false sense of security?

I imagine any IT hacker/agency if they wanted to could read 99% of the RIU posts and retrieve volumes of the most intimate details of each posters; is this a misconception?
I figure less than 1% of the posters are using encryption or tails.
In Private browsing in Internet Explorer is more about not leaving any evidence on your local computer, not so much about being anonymous on the net. It's pretty good at making it so your wife or SO won't find any evidence of the pr0n sites you visit, but it won't protect you from LE figuring out where you've surfed. In Private browsing is not anonymous surfing. You will still be surfing off the IP address that your ISP assigned to you, and that will subsequently be logged at every website you visit, and potentially tracked by your ISP and anyone else monitoring the pipes that you use.

If your goal is to not provide an easy trail for LEO to follow, you'll need a lot more than In Private browsing.
For instance, I'm running Firefox inside a virtual machine that is connecting to the internet via an anonymous VPN connection. I also run DNT+ and AdBlock+ addons for FireFox to further reduce my footprint. If I was hard core, I'd be daisy chaining VPN connections, and using a hardened OS like openBSD.


Mr I Can Do That For Half
Yes the cops do watch these threads and yes they can use them in cases against you. Since this sites servers are onS territory they can demand ip and owner info to track the original poster which is why we all know of course to use many proxies before coming to the site and to not upload images directly to the site image manager but through proxied third party sites. Since I have been a member who joined first week site came up I think i can recall of maybe 3 people who had their accounts and posts used against them. Use your own security as the site offers little to none.


Well-Known Member
ps I'd give NORML an F for their last 35+ years of work, the laws have only gotten tougher!
That's not NORML's fault. It's the lazy ass motherfuckers who whine and bitch all day about everything yet can't seem to set aside just a half hour of their precious time, on a single day, every other year to go out and vote!


Well-Known Member
That's not NORML's fault. It's the lazy ass motherfuckers who whine and bitch all day about everything yet can't seem to set aside just a half hour of their precious time, on a single day, every other year to go out and vote!
Well I don't see NORML bangin that drum.
You are right though get out the pot vote!!


Well-Known Member
Thanks for the info. I really am a basic user of the net and don't get that deep into the security aspect. I was curious about the legal aspect and the type of security that should be used to remain anonymous. I got plenty of info from your responses.